Trotsky – the Revolution Betrayed Chapter 7 – Family, Youth and Culture – Part 3 – Nationality and Culture

This section concludes Chapter 7 of Trotsky’s most systematic work on the nature of the USSR under Stalinism.

It comes after the extensive discussion of a detailed treatment of the impact of the degeneration of the state that was created in October 1917 by the workers revolution, in alliance with the peasantry, on questions involving women’s oppression.

Then it dealt with the stifling effect of the degeneration on Soviet youth.

In this section Trotsky deals with the impact of the same degeneration on the many nations and nationalities that made up the population of the USSR.

For of course, the USSR was a very multi-national and multi-ethnic state. It was the successor of Tsarism, which as many had noted, had the character of a ‘prison house of peoples’’.

The smaller peoples of the Tsarist Empire were both suppressed, and prevented from undergoing political and economic development, by the Tsarist regime.

Until the mid-19th Century, Tsarist Russia had been the potent enemy of all revolutionary and democratic development in all Europe also. It was a kind of absolutist, feudal superpower.

It is arguable as to whether it was actually feudal or not – some point to Marx’s concept of the ‘Asiatic mode of production’ as relevant to pre-revolutionary Russia.

Though that is doubtful, as this concept seems to be based on major irrigation works.

Just after mid-century it was weakened. The emancipation of the serfs in 1861 signalled the beginning of the death agony of Tsarism.

Russian rural life was often dominated by the medieval commune, or Mir, where the peasants owned and worked their own land in common and had a real element of collective control.

Marx seriously considered the idea that this incipient democracy could play an important role in leading Russia to some sort of socialism without the kind of capitalist development which happened in Europe.

However, this speculation was falsified by subsequent events.

Over time the growth of capitalism in Europe led the Tsarist regime to bureaucratically graft modern capitalist industry onto its own economy, to try to ensure its own survival. Though, that set off social and economic forces that it could not control.

Centrally the working class its economic activities necessarily created in the Russian cities like Moscow, St Petersburg, Nizhny Novgorod particularly, as well as some others,

Such as the growth of heavy industry centred on coal in Eastern Ukraine – now the Donbass – the growth of the oil industry in Azerbaijan, etc.

The working class in the Tsarist empire was not simply Russian, but multi-national therefore, and the Bolshevik leadership had representatives from several nationalities in its leadership.

As well as Russians, you had Jews, Ukrainians, Georgians, Armenians, and many others.

The nations of Central Asia, many of which were just emerging as the Tsarist Empire went into crisis.

The umbrella term ‘Turkestan’ was originally used to describe them. In fact, there were many nationalities that made them up, which in time under Soviet rule resulted in a multiplicity of Central Asian republics.

Trotsky’s account of the Stalinist treatment of the issue of nationalities in the USSR is scathing, but he does not equate that with the Tsarist regime.

Far from it, despite the Tsarist regime, he recognised that despite the bureaucratic degeneration, much of the progressive impetus imparted still continued:

• Inserted here: calculated crystals:
........
(1)
# IrPtPb2O
Theoretical XRD peak list, Cu Kα (weighted mean of Kα1 and Kα2). Input: DFT lattice parameters and positions (GGA-PBE).
Intensities are scaled so that the largest is 100.

The 6 most intense peaks (10 to 90 degrees two-theta), in order of rising 2θ:
(0 0 1), 2θ = 12.81°, d = 6.913 Å, rel. 76; (2 0 -2), 2θ = 28.11°, d = 3.175 Å, rel. 54; (1 1 1), 2θ = 29.93°, d = 2.985 Å, rel. 100; (1 1 -2), 2θ = 31.19°, d = 2.868 Å, rel. 58; (0 2 0), 2θ = 41.09°, d = 2.197 Å, rel. 42; (3 1 -1), 2θ = 41.84°, d = 2.159 Å, rel. 67

Unit cell a=7.474 b=4.394 c=7.609 alpha=90.00 beta=114.71 gamma=90.00
Space group Cm (No. 8)
Unique sites:
Ir 0.000 0.000 0.000 x2
Pt 0.200 0.500 0.067 x2
Pb 0.290 0.000 0.703 x2
Pb 0.458 0.000 0.284 x2
O 0.468 0.500 0.722 x2

---

(2)
# IrPtPb2O
Theoretical XRD peak list, Cu Kα (weighted mean of Kα1 and Kα2). Input: DFT lattice parameters and positions (GGA-PBE).
Intensities are scaled so that the largest is 100.

The 6 most intense peaks (10 to 90 degrees two-theta), in order of rising 2θ:
(1 0 0), 2θ = 24.81°, d = 3.589 Å, rel. 37; (1 0 1), 2θ = 26.18°, d = 3.404 Å, rel. 39; (0 1 2), 2θ = 31.39°, d = 2.850 Å, rel. 100; (1 1 -1), 2θ = 34.94°, d = 2.568 Å, rel. 59; (0 1 -2), 2θ = 36.01°, d = 2.494 Å, rel. 44; (1 0 -3), 2θ = 45.16°, d = 2.008 Å, rel. 30

Unit cell a=3.730 b=3.770 c=7.970 alpha=80.57 beta=81.70 gamma=75.45
Space group P-1 (No. 2)
Unique sites:
Ir 0.000 0.000 0.000 x1
Pt 0.500 0.000 0.500 x1
Pb 0.054 0.569 0.710 x2
O 0.500 0.000 0.000 x1

---

(3)
# IrPtPbO6
Theoretical XRD peak list, Cu Kα (weighted mean of Kα1 and Kα2). Input: DFT lattice parameters and positions (GGA-PBE).
Intensities are scaled so that the largest is 100.

The 6 most intense peaks (10 to 90 degrees two-theta), in order of rising 2θ:
(1 1 2), 2θ = 25.03°, d = 3.558 Å, rel. 15; (0 1 3), 2θ = 29.29°, d = 3.049 Å, rel. 100; (2 1 1), 2θ = 29.70°, d = 3.008 Å, rel. 39; (2 0 2), 2θ = 31.08°, d = 2.878 Å, rel. 48; (2 2 4), 2θ = 51.36°, d = 1.779 Å, rel. 28; (2 4 2), 2θ = 60.70°, d = 1.526 Å, rel. 19

Unit cell a=7.010 b=7.195 c=10.084 alpha=90.00 beta=90.00 gamma=90.00
Space group Imma (No. 74)
Unique sites:
Ir 0.000 0.000 0.000 x4
Pt 0.250 0.250 0.250 x4
Pb 0.000 0.250 0.582 x4
O 0.000 0.250 0.348 x4
O 0.000 0.250 0.933 x4
O 0.206 0.040 0.125 x16


Starting from a DFT-relaxed cell (GGA+U, Alexandria), the powder X-ray diffraction pattern of Ho2MnRuO7 was computed for CuKα.
Kinematic intensities with the Lorentz-polarization factor, no thermal factor.

Structure:
```
data_Ho2MnRuO7
_cell_length_a 7.138
_cell_length_b 7.169
_cell_length_c 10.142
_cell_angle_alpha 90.00
_cell_angle_beta 90.00
_cell_angle_gamma 90.00
_symmetry_space_group_name_H-M 'I m m a'
_symmetry_Int_Tables_number 74
_symmetry_space_group_name_Hall '-I 2b 2'
loop_
_atom_site_label
_atom_site_fract_x
_atom_site_fract_y
_atom_site_fract_z
_atom_site_occupancy
Ho1 0.000 0.000 0.000 1
Ho2 0.250 0.250 0.250 1
Mn1 0.250 0.250 0.750 1
Ru1 0.000 0.000 0.500 1
O1 0.000 0.250 0.124 1
........

“It is true that in the sphere of national policy, as in the sphere of economy, the Soviet bureaucracy still continues to carry out a certain part of the progressive work, although with immoderate overhead expenses. This is especially true of the backward nationalities of the Union, which must of necessity pass through a more or less prolonged period of borrowing, imitation and assimilation of what exists. The bureaucracy is laying down a bridge for them to the elementary benefits of bourgeois, and in part even pre-bourgeois, culture. In relation to many spheres and peoples, the Soviet power is to a considerable extent carrying out the historic work fulfilled by Peter I and his colleagues in relation to the old Muscovy, only on a larger scale and at a swifter tempo.

“In the schools of the Union, lessons are taught at present in no less than eighty languages. For a majority of them, it was necessary to compose new alphabets, or to replace the extremely aristocratic Asiatic alphabets with the more democratic Latin. Newspapers are published in the same number of languages – papers which for the first time acquaint the peasants and nomad shepherds with the elementary ideas of human culture. Within the far-flung boundaries of the tzar’s empire, a native industry is arising. The old semi-clan culture is being destroyed by the tractor. Together with literacy, scientific agriculture and medicine are coming into existence. It would be difficult to overestimate the significance of this work of raising up new human strata. Marx was right when he said that revolution is the locomotive of history.”

However, he pointed out, and this is the main theme of this section, that there was nothing specifically ‘socialist’ about this. This was merely the assimilation of elements of bourgeois culture by previously deeply oppressed and suppressed populations.

He gives the example of the assimilation of basic rules of hygiene, or things like iron bedsteads, or knitted underwear.

He notes the proclivity of the population of the USSR, including Russia, to imitate the West. This concept, that the West was superior and to be imitated, plagued the USSR (for all its advances) up to the collapse of 1991.

Such advances, as he notes had nothing particularly socialist about them, they merely involved assimilating bourgeois progress and luxuries that had previously been denied.

However, Trotsky is clear on the role that the progressive contents of the revolution, and economic planning, played in this assimilation:

“To say that the Soviet Union is now performing that cultural work which the advanced countries long ago performed on the basis of capitalism, would be, however, only half the truth. The new social forms are by no means irrelevant. They not only give to a backward country the possibility of gaining the level of the most advanced, but they permit it to achieve this task in a much shorter space of time than was needed formerly in the West. The explanation of this acceleration of tempo is simple. The bourgeois pioneers had to invent their technique and learn to apply it in the spheres both of economy and culture. The Soviet Union takes it ready made in its latest forms and, thanks to the socialized means of production, applies the borrowings not partially and by degrees but at once and on a gigantic scale.”

And he goes on:

“If the October revolution had given nothing but this accelerated forward movement, it would be historically justified, for the declining bourgeois regime has proved incapable during the last quarter century of seriously moving forward any one of the backward countries in any part of the earth. However, the Russian proletariat achieved the revolution in the name of much more far-reaching tasks. No matter how suppressed it is politically at present, in its better parts it has not renounced the communist programme nor the mighty hope bound up with it”

The bureaucracy attempted to exploit that sentiment, and at the same time deflect it, by claiming that every conquest of bourgeois culture, as referred to above, represented something ‘socialist’.

These conquests encourage creative thought and individuality, which were themselves to a degree conquests of the rise of bourgeois culture. But the bureaucracy fears such things: it encourages petit bourgeois economic aspiration, but …

“The contradictions in the sphere of Soviet culture only reflect and refract the economic and social contradictions which grew out of this leap. The awakening of personality under these circumstances necessarily assumes a more or less petty bourgeois character, not only in economics, but also in family life and lyric poetry. The bureaucracy itself has become the carrier of the most extreme, and sometimes unbridled, bourgeois individualism. Permitting and encouraging the development of economic individualism (piecework, private land allotments, premiums, decorations), it at the same time ruthlessly suppresses the progressive side of individualism in the realm of spiritual culture (critical views, the development of one’s own opinion, the cultivation of personal dignity).”

And the implications of this for the formerly oppressed nations and nationalities under Tsarism are also clear:

“The more considerable the level of development of a given national group, or the higher the sphere of its cultural creation, or, again, the more closely it grapples with the problems of society and personality, the more heavy and intolerable becomes the pressure of the bureaucracy…..

…The Ukrainian, White Russian, Georgian, or Turk newspapers and books are only translations of the bureaucratic imperative into the language of the corresponding nationality. Under the name of models of popular creativeness, the Moscow press daily publishes in Russian translation odes by the prize poets of the different nationalities in honour of the leaders, miserable verses in reality which differ only in the degree of their servility and want of talent.”

And this applies to the Russians of course.

“It is a question, therefore, not of the oppression of one nationality over another in the proper sense of the word, but of oppression by the centralized police apparatus over the cultural development of all the nations, starting with the Great Russian.”

Trotsky is very cautious in attacking the regime as simply Russifying, noting the large number of non-Russians that made up even Stalin’s regime. Yet he could not ignore some of the material implications of the way things were developing:

“We cannot, however, ignore the fact that 90 per cent of the publications of the Soviet Union are printed in the Russian language. If this percentage is, to be sure, in flagrant contradiction with the relative number of the Great Russian population, still it perhaps the better corresponds to the general influence of Russian culture, both in its independent weight and its role as mediator between the backward peoples of the country and the West.”

He does conclude however:

“But with all that, does not the excessively high percentage of Great Russians in the publishing houses (and not only there, of course) mean an actual autocratic privilege of the Great Russians at the expense of the other nationalities of the Union? It is quite possible. To this vastly important question it is impossible to answer as categorically as one would wish, for in life it is decided not so much by collaboration, rivalry and mutual fertilizations of culture, as by the ultimate arbitrament of the bureaucracy. And since the Kremlin is the residence of the authorities, and the outlying territories are compelled to keep step with the centre, bureaucratism inevitably takes the colour of an autocratic Russification, leaving to the other nationalities the sole indubitable cultural right of celebrating the arbiter in their own language.”

So however cautiously, he does point to the tendency of the Stalinist regime to act as an agency of privileging the dominant nationality over the smaller nationalities of the Union, despite the efforts of the early Soviet government under the Bolsheviks to create an equitable, multinational union.

This of course is one of the key issues that undermined the USSR.

The polemical section on ‘proletarian culture’ is of considerable interest. Lenin and Trotsky rejected this concept.

The Marxist understanding is that the proletariat is an oppressed and exploited class, whose historical mission is to create a classless society (communism, via socialism).

The concept that ‘proletarian culture’ had some inherently progressive content was at odds with the mission of the proletariat to abolish all classes, including itself, progressively dissolving into a classless society.

The new classless society of the future would develop a higher culture free from oppression and the elements of barbarism that permeates all classes in a class society.

The concept that the workers state should dictate trends in art, which were ‘proletarian’ and which not, was rejected by the Bolsheviks:

“Although he had rather “conservative” personal tastes in art, Lenin remained politically extremely cautious in artistic questions, eagerly confessing his incompetence. The patronizing of all kinds of modernism by Lunacharsky, the People’s Commissar of Art and Education, was often embarrassing to Lenin. But he confined himself to ironical remarks in private conversations, and remained remote from the idea of converting his literary tastes into law. In 1924, on the threshold of the new period, the author of this book thus formulated the relation of the state to the various artistic groups and tendencies: ‘while holding over them all the categorical criterion, for the revolution or against the revolution, to give them complete freedom in the sphere of artistic self-determination.’

While the dictatorship had a seething mass-basis and a prospect of world revolution, it had no fear of experiments, searchings, the struggle of schools, for it understood that only in this way could a new cultural epoch be prepared. The popular masses were still quivering in every fiber, and were thinking aloud for the first time in a thousand years. All the best youthful forces of art were touched to the quick. During those first years, rich in hope and daring, there were created not only the most complete models of socialist legislation, but also the best productions of revolutionary literature. To the same times belong, it is worth remarking, the creation of those excellent Soviet films which, in spite of a poverty of technical means, caught the imagination of the whole world with the freshness and vigor of their approach to reality.”

This being completely at odds with what happened later as the Stalinist regime began to prevail:

“In the process of struggle against the party Opposition, the literary schools were strangled one after the other. It was not only a question of literature, either. The process of extermination took place in all ideological spheres, and it took place more decisively since it was more than half unconscious. The present ruling stratum considers itself called not only to control spiritual creation politically, but also to prescribe its roads of development. The method of command-without-appeal extends in like measure to the concentration camps, to scientific agriculture and to music. The central organ of the party prints anonymous directive editorials, having the character of military orders, in architecture, literature, dramatic art, the ballet, to say nothing of philosophy, natural science and history.”

This stifling of creative thought had a throughgoing effect in closing off scientific innovation, by insisting research be narrowly oriented to immediate practical tasks. Social science, including Marxism itself, fared far worse:

“In spite of the fact that Marxism is formally a state doctrine in the Soviet Union, there has not appeared during the last twelve years one Marxian investigation – in economics, sociology, history or philosophy – which deserves attention and translation into foreign languages. The Marxian works do not transcend the limit of scholastic compilations which say over the same old ideas, endorsed in advance, and shuffle over the same old quotations according to the demands of the current administrative conjuncture.

“Marxists who might say something valuable and independent are sitting in prison, or forced into silence, and this in spite of the fact that the evolution of social forms is raising gigantic scientific problems at every step!

“Even the explanatory notes to the complete works of Lenin are radically worked over in every new edition from the point of view of the personal interests of the ruling staff: the names of ‘leaders’ magnified, those of opponents vilified; tracks covered up. 

“Facts are distorted, documents concealed or fabricated, reputations created or destroyed. A simple comparison of the successive variants of one and the same book during the last twelve years permits us to trace infallibly the process of degeneration of the thought and conscience of the ruling stratum.”

The section closes with a scathing critique of the effect of the Stalinist regime upon art:

“No less ruinous is the effect of the ‘totalitarian’ regime upon artistic literature. The struggle of tendencies and schools has been replaced by interpretation of the will of the leaders. There has been created for all groups a general compulsory organization, a kind of concentration camp of artistic literature. … Gifted writers who cannot do sufficient violence to themselves are pursued by a pack of instructors armed with shamelessness and dozens of quotations. The most eminent artists either commit suicide, or find their material in the remote past, or become silent….

“The Secretary of the Communist Youth said at a conference of writers: ‘The suggestions of Comrade Stalin are a law for everybody,’ and the whole audience applauded, although some doubtless burned with shame. As though to complete the mockery of literature, Stalin, who does not know how to compose a Russian phrase correctly, is declared a classic in the matter of style. There is something deeply tragic in this Byzantinism and police rule, notwithstanding the involuntary comedy of certain of its manifestations.”

Unfortunately, the consquences were clear, and they admitted it themselves.

“The leaders themselves are compelled to acknowledge that ‘neither the first nor the second five-year plan has yet given us a new literary wave which can rise above the first wave born in October.’ That is very mildly said. In reality, in spite of individual exceptions, the epoch of the Thermidor will go into the history of artistic creation pre-eminently as an epoch of mediocrities, laureates and toadies.”